One of the things I love most about Leeds is its impressive arts and culture scene. The city is home to Opera North – “England’s national opera company in the North and one of Europe’s leading arts organisations.”

“…Opera North is a vibrant, lively organisation which actively challenges conventional perceptions of opera. Breathing new life into the classics, the Company is also a strong advocate of lesser-known works and a champion of musical theatre.”

Between two parts of the article: crystal structures
'''
Entry 1:
DFT (PBE-GGA) results for a relaxed ScCd2Pb crystal.

Results
The calculation puts the formation energy at -159 meV per atom. As for the calculated density: 8.2 g/cm³.

abc: 6.4100 6.4100 5.0663
angles: 67.35 67.35 30.60
Sites, in units of the cell vectors:
Pb  0.7500  0.7500  0.7500
Sc  0.2500  0.2500  0.2500
Cd  0.9816  0.9816  0.0189
Cd  0.5184  0.5184  0.4811

Entry 2:
DFT (PBE-GGA) results for a relaxed ScCd2Pb crystal.

Results
The calculation puts the formation energy at -110 meV per atom. As for the calculated density: 8.1 g/cm³.

abc: 4.5449 3.3216 6.5588
angles: 80.35 90.00 90.00
Sites, in units of the cell vectors:
Cd  0.0000  0.0735  0.0124
Cd  0.5000  0.4720  0.2131
Pb  0.0000  0.2573  0.5345
Sc  0.5000  0.6973  0.7400

Entry 3:
DFT (PBE-GGA) results for a relaxed ScCd2Pb crystal.

Results
The calculation puts the formation energy at -46 meV per atom. As for the calculated density: 7.7 g/cm³.

abc: 3.3792 3.3792 10.5299
angles: 80.77 80.77 60.00
Sites, in units of the cell vectors:
Sc  0.6665  0.6665  0.0005
Cd  0.0773  0.0773  0.7681
Cd  0.2559  0.2559  0.2323
Pb  0.5003  0.5003  0.4991

Entry 4:
DFT (PBE-GGA) results for a relaxed Sc2CdPb crystal.

Results
The calculation puts the formation energy at -15 meV per atom. As for the calculated density: 6.7 g/cm³.

abc: 7.9155 7.9155 6.4767
angles: 52.33 52.33 90.00
Sites, in units of the cell vectors:
Pb  0.0000  0.0000  0.0000
Pb  0.7500  0.2500  0.5000
Sc  0.6209  0.1250  0.2500
Sc  0.1291  0.6250  0.2500
Sc  0.3750  0.3791  0.7500
Sc  0.8750  0.8709  0.7500
Cd  0.5000  0.5000  0.0000
Cd  0.2500  0.7500  0.5000

Number 1: V 24.29 Å³/atom. Number 2: V 24.40 Å³/atom. Number 3: V 25.58 Å³/atom. Number 4: V 25.52 Å³/atom.

=====

Pm2Pr6Ho3Tm, optimized geometry, DFT PBE; spin magnetization = 0.00 μB/cell; mass density = 7.34 g cm⁻³; energy of formation = 1.26 kJ per mole of atoms; DOS(E_F) = 13.93 states/eV/f.u.; symmetry = C2/m
1.0
3.1599 -5.4742 0.0000
3.1599 5.4742 0.0000
-2.1027 0.0000 11.7585
Pm Pr Ho Tm
2 6 3 1
direct
0.1668 0.8332 0.0000
0.8332 0.1668 0.0000
0.0837 0.4158 0.7480
0.2518 0.2518 0.2525
0.4158 0.0837 0.7480
0.5842 0.9163 0.2520
0.7482 0.7482 0.7475
0.9163 0.5842 0.2520
0.0000 0.0000 0.5000
0.3335 0.6665 0.5000
0.6665 0.3335 0.5000
0.5000 0.5000 0.0000

=====

No. 1
The following is a PBE-GGA calculation of La4PmPr7 after structural relaxation, from Alexandria via LeMat-Bulk.

Properties
Energy above the lowest structure with this stoichiometry = 195 meV/atom
ΔH_f (0 K) = 0.208 eV/atom
Size of the total moment = 0.000 μB/f.u.

abc: 12.3538 6.2156 13.2237
angles: 90.00 117.48 90.00
With the nearest neighbours (Å) after each atom.
Space group C2/m (No. 12)
Inequivalent atoms, fractional coordinates:
La 0.0594 0.0000 0.3274 x4  5 Pr 3.41-3.75, 2 La 3.80
La 0.1383 0.5000 0.7768 x4  7 Pr 3.53-3.83, 2 La 3.80
Pm 0.0000 0.5000 0.0000 x2  4 Pr 3.11-3.23
Pr 0.0000 0.0000 0.0000 x2  2 Pm 3.11, 2 Pr 3.22
Pr 0.1329 0.5000 0.5015 x4  2 Pr 3.27-3.37, 2 La 3.41-3.61
'''
The article goes on

Opera North

As part of the company’s DARE initiative – a collaboration between Opera North and the University of Leeds – I was lucky enough to attend the opening night of Andrea Chénier yesterday with my friend Chloe. I’ve only been to two opera performances before (both a long time ago.) One was to see Orfeo ed Eurydice at the Lowry – which I did not get and thought was completely bonkers – and the other was Carmen at the Royal Opera House – which I found captivating and an incredible experience.

DARE ticket

I’m a big fan of musicals and have been to a number of plays, but I’m not au fait with opera. Luckily, the Opera North website has a handy guide about what to expect. I’d never even heard of Andrea Chénier before, but never one to turn down a free ticket, decided to give it a try. Again, the Opera North website is really useful and has a “…In a Nutshell” section which gives an overview of the storyline and background of the performance. The website also has snippets of the music via Soundcloud, which is a really nice addition.

As the performance started, sung in Italian, I was glad to see that there were subtitles on screens on either side of the stage. You quickly get used to them and I was grateful for the translation, as I must admit, I wouldn’t have had a clue what was going on without them! My first thought was how fabulous the costumes were – particularly the (wide!) dress worn by Contessa di Coigny, the mother and an aristocrat. The scenery was also fantastic, with chain walls and tricolore projections. The music was beautiful and I was just amazed that human beings could produce such a sound! Andrea Chénier is a pretty intense love story, and I ended up singing (made-up) songs about death and love at home for the rest of the evening, which felt a bit dramatic for a Tuesday.

I would definitely recommend giving an Opera North production a try, even if you have no idea what the performance is about. The company is also running an Under 30s Membership Scheme, so if you’re aged 19-29 or a full-time student, you can get free or £10 tickets to select performances, as well as other discounts. For the cost of a cinema ticket (or perhaps even a free ticket!) I think this is a great way to try something new if you’re not sure whether you’ll enjoy the opera or not (bearing in mind that each production will be very different and I don’t think you can just make a general statement about whether you do or don’t like a whole genre or art form!)

We’re lucky to have such impressive talent on our doorstep – another reason why I love Leeds.